Sample Spectra from Trip to Fort AP Hill
From the discussion on the previous page, one can see that the probability
of detection for the plastic mines on any one trial is roughly 75%. The
natural question to ask is: what happens during the other 25% of the trials?
Why does the spectrum not reveal the identity of the mine? The answer seems
to be most directly concerned with the difficulty of actually making good clean
contact with the item buried in the soil. Sometimes, the probe tip may not
actually be touching the buried mine. Even if the tip is touching the object,
there may be a thin layer of soil in between the tip and the object, which damps
the acoustic signal. In addition, forcing the probe through the dirt may have
temporarily distorted the mechanical alignment of the tip itself, distorting the
echo returned from the buried mine.
A combination of these factors (and probably others as well) has the net result
of providing the possibility of a false negative on any given trial. To illustrate
this point, here are two of the ten spectra taken on the VS-MKII mine when it was
buried in soil during our tests at Fort AP Hill. The first represents the condition
when the device has "worked." You can see a large peak near 2 kHz which identifies
the object as a plastic AP mine.
Now, here is the second spectrum, which represents the condition when the device
has failed. The spectrum has no distinguishing features, the cause of which is
probably one of the factors mentioned above.
The same phenomenon, namely that sometimes the device collects corrupted or
inaccurate spectra, occurs when probing objects other than mines. For example,
objects with a harder surface than plastic, notably pieces of metal and rocks,
are characterized by a very large, broad spectral peak in the 4-6 kHz region of
the spectrum. But this feature does not always appear when probing a rock or a
piece of scrap metal, again most likely due to issues of contact between the
probe and the buried object. Here is a spectrum, taken from a rusty piece of
a truck that was blown up at AP Hill, which illustrates the characteristic
feature of hard objects.
# Between two parts of the entry: molecular data
~~~
ORCA calculation (ωB97M-V/def2-TZVPD) on C3H8N2OS in the gas phase in a non-equilibrium geometry.

* max |F|: 0.1103 Eh/bohr
* ΔE to the lowest compared entry with this formula, charge and spin: 684.6 kJ/mol

Each line ends with the Mulliken charge.
Geometry (Å):
H 0.33 2.70 -0.36  0.27
N 0.99 1.88 -0.68  -0.78
C 0.69 0.67 -0.36  0.47
N 1.68 -0.47 -0.51  -0.28
O 1.77 -1.22 0.84  -0.51
C -0.46 0.17 0.36  0.25
C -1.24 1.41 0.82  -0.91
S -1.54 -1.12 -0.35  -0.25
H 2.61 -0.23 -0.58  0.34
H 2.10 -2.29 0.45  0.37
H -0.28 -0.53 1.29  0.23
H -0.38 2.28 0.96  0.19
H -2.16 1.84 0.09  0.23
H -1.77 1.24 1.99  0.26
H -2.47 -0.66 -1.60  0.12

---

ORCA calculation (ωB97M-V/def2-TZVPD) on a molecular structure, ClLi.

* max |F|: 0.0033 Eh/bohr
* ΔE to the lowest compared entry with this formula, charge and spin: 0.8 kJ/mol
* spin multiplicity: 2
* charge: +1

Each line ends with the Mulliken spin population.
Geometry (Å):
Li -12.77 22.91 10.73  0.00
Cl -13.60 22.55 8.39  1.00

---

ORCA calculation (ωB97M-V/def2-TZVPD) on 2 unconnected molecules or ions with the total composition C5H11NO in a non-equilibrium geometry.

* max |F|: 0.0514 Eh/bohr
* ΔE to the lowest compared entry with this formula, charge and spin: 263.5 kJ/mol
* spin multiplicity: 2
* charge: +1

Each line ends with the Mulliken spin population.
Geometry (Å):
C 0.99 -1.23 -0.74  0.00
C 0.66 0.20 -1.08  0.04
C 0.05 1.01 0.04  0.15
C 0.63 2.01 0.76  0.39
C -2.16 0.33 -0.45  0.02
N -1.26 0.66 0.38  0.31
H 1.74 -1.71 -1.39  0.00
H 0.20 -1.97 -0.74  0.00
H 1.51 -1.33 0.22  0.00
H 1.57 0.73 -1.37  0.00
H 0.06 0.25 -1.99  0.01
H 1.51 2.58 0.48  0.02
H 0.03 2.42 1.57  0.02
H -2.97 -0.24 0.01  0.02
H -2.19 0.50 -1.52  0.02
H 0.60 -1.28 2.20  0.00
H -0.76 -1.15 1.56  0.00
O -0.21 -1.78 2.06  0.00

---

ORCA calculation (ωB97M-V/def2-TZVPD) on 2 unconnected molecules or ions with the total composition CHClF3N in a non-equilibrium geometry.

* max |F|: 0.0691 Eh/bohr
* ΔE to the lowest compared entry with this formula, charge and spin: 318.5 kJ/mol

Each line ends with the Mulliken charge.
Geometry (Å):
C -0.79 0.36 -0.65  0.47
N 0.80 -0.42 1.28  -0.16
F -1.39 1.27 0.06  -0.15
F -1.56 -0.78 -0.64  -0.19
F 1.59 -1.51 0.82  -0.16
Cl -0.12 0.68 -2.13  -0.07
H 1.48 0.41 1.27  0.25

* * * * *

Record 1
An isolated molecule of C4H8FN, computed with ωB97M-V/def2-TZVPD.

```
14
Properties=species:S:1:pos:R:3:forces:R:3:nbo_charge:R:1
C 0.1061 0.3731 0.2877 0.2428 -0.3317 -0.8697 -0.14
C -1.1964 -0.3692 0.3417 -0.4900 0.3654 -0.0376 0.06
C 0.2817 1.1098 -1.0060 0.2854 0.1351 -0.8794 -0.19
C 1.0507 0.7415 -2.0349 -0.1535 -1.3076 1.4877 -0.39
H 2.0592 -0.2706 0.4824 -0.6469 -0.3510 0.1640 0.36
H 0.8969 -1.0867 1.3844 0.5781 -0.0121 -0.4958 0.38
H 0.0115 1.1747 1.0461 0.5005 -0.4781 0.2414 0.18
H -2.0360 0.2944 0.2762 -0.5387 0.5327 -0.1679 0.16
H -1.3176 -1.1475 -0.4019 0.3665 -0.1998 -0.1815 0.18
H -0.2625 2.0454 -1.0724 -0.0046 0.1118 0.0287 0.20
H 1.1941 1.3445 -2.8945 -0.0501 0.4368 -0.6527 0.20
~~~
The above discussion points out an obvious conclusion: one cannot rely on a
single measurement of any object in order to positively identify it. Instead,
one must take multiple measurements in order to ensure that the characteristic
(Quantum chemistry results, as found in the file)
-- begin --
{"formula": "C11H34N8O5", "method": "ωB97M-V/def2-TZVPD", "symbols": ["C", "O", "N", "N", "H", "H", "H", "H", "C", "O", "N", "N", "H", "H", "H", "H", "C", "O", "N", "N", "H", "H", "H", "H", "C", "C", "C", "O", "C", "N", "H", "H", "H", "H", "H", "H", "H", "H", "H", "H", "H", "C", "C", "C", "O", "C", "N", "H", "H", "H", "H", "H", "H", "H", "H", "H", "H", "H"], "xyz": [[-2.6879, -3.7602, -3.2708], [-3.1760, -4.3305, -4.2638], [-3.4864, -2.9653, -2.5101], [-1.3691, -3.7474, -2.9972], [-4.4641, -3.0639, -2.7108], [-3.1949, -2.3532, -1.7769], [-1.0076, -3.3286, -2.1401], [-0.7768, -4.3774, -3.5030], [0.0157, -4.3281, 3.6437], [0.4810, -4.6911, 2.5586], [-0.6330, -3.1456, 3.8093], [0.1548, -5.1094, 4.7487], [-0.8519, -2.6460, 2.9597], [-1.1428, -3.0098, 4.6604], [-0.3231, -4.8459, 5.5861], [0.7369, -5.9142, 4.6132], [-1.2064, -1.7310, 0.3854], [-1.2502, -2.7898, -0.2578], [-2.0676, -1.5160, 1.4222], [-0.1854, -0.8501, 0.2683], [-1.9709, -0.7451, 2.0553], [-2.8481, -2.1484, 1.4533], [-0.1297, -0.0564, 0.8857], [0.5788, -1.0877, -0.3377], [-2.5496, 2.6772, 0.3333], [-1.5128, 3.7161, 0.8531], [-0.0786, 3.2414, 0.7685], [0.0526, 1.9705, 1.3883], [0.7962, 1.9913, 2.5907], [-1.7195, 5.0209, 0.2204], [-2.2054, 2.0880, -0.5218], [-3.4921, 3.1052, -0.0042], [-2.7208, 2.0026, 1.1752], [-1.7223, 3.7979, 1.9234], [0.4358, 4.0542, 1.2921], [0.2869, 3.0854, -0.2462], [0.9246, 1.0184, 3.0447], [0.4299, 2.7774, 3.2733], [1.7469, 2.5287, 2.4331], [-2.6600, 5.3635, 0.3847], [-1.7458, 4.9053, -0.7914], [2.3108, 3.1302, -2.7352], [2.6730, 2.0678, -1.6752], [2.5260, 0.6484, -2.1974], [2.7760, -0.2150, -1.1169], [2.5345, -1.5673, -1.4483], [4.0338, 2.2982, -1.1851], [1.2568, 3.0067, -3.0187], [2.8675, 2.9479, -3.6542], [2.3867, 4.1298, -2.3161], [1.9964, 2.1379, -0.8193], [3.2969, 0.6089, -2.9887], [1.5635, 0.3919, -2.6503], [1.5110, -1.7786, -1.7851], [2.7613, -2.2237, -0.6134], [3.1663, -1.8116, -2.3085], [4.1713, 3.2752, -0.9517], [4.7068, 2.1506, -1.9350]], "forces_ev_per_angstrom": [[-0.74, 0.04, -2.08], [0.62, 0.00, 1.23], [-0.60, 0.01, 0.25], [0.83, 0.27, 0.68], [0.01, 0.15, -0.02], [0.35, -0.18, 0.24], [-0.35, -0.36, -0.18], [-0.14, -0.07, -0.14], [0.89, -0.96, -1.76], [-0.34, 0.61, 0.94], [0.12, 0.05, 0.12], [-0.24, 0.56, -0.18], [-0.24, -0.07, 0.23], [-0.25, 0.38, -0.10], [0.29, -0.48, 0.40], [-0.18, -0.16, 0.42], [1.51, -1.59, 0.18], [-0.52, 1.19, -0.08], [-0.31, -0.01, -0.20], [-0.64, 0.18, 0.10], [-0.27, 0.16, -0.09], [-0.06, 0.15, 0.25], [0.22, 0.27, -0.34], [-0.03, 0.13, 0.15], [0.66, -0.44, 0.34], [-2.01, -0.57, -0.73], [-0.39, 0.25, 0.03], [0.00, -0.46, 0.59], [0.74, 2.56, 0.06], [0.42, 0.24, -0.38], [0.31, 0.01, 0.11], [-0.03, 0.32, 0.39], [-0.32, -0.29, -0.35], [0.04, 0.38, 0.01], [0.77, -0.40, -0.18], [-0.11, 0.53, -0.16], [-0.15, -0.11, -0.11], [-0.96, -0.82, 0.39], [0.49, -1.07, -0.46], [0.06, -0.09, 0.54], [0.45, -0.12, 0.03], [-1.28, -1.20, 0.24], [-0.32, 0.90, -0.13], [0.87, 0.55, 0.02], [-0.39, -0.50, 0.25], [0.50, 0.00, -0.84], [0.38, -0.26, -0.02], [0.00, 0.06, -0.01], [0.35, 0.44, 0.09], [0.42, 0.10, -0.22], [0.09, 0.19, 0.04], [-0.03, -0.74, 0.00], [-0.17, 0.45, -0.01], [-0.16, 0.24, 0.05], [0.13, 0.20, 0.15], [0.10, -0.37, 0.09], [-0.29, 0.02, 0.18], [-0.12, -0.26, 0.00]], "nbo_charge": [0.766, -0.696, -0.851, -0.850, 0.399, 0.394, 0.423, 0.398, 0.763, -0.664, -0.856, -0.849, 0.419, 0.377, 0.383, 0.418, 0.772, -0.700, -0.866, -0.836, 0.395, 0.416, 0.411, 0.415, -0.633, -0.064, -0.069, -0.575, -0.260, -0.828, 0.209, 0.210, 0.206, 0.181, 0.192, 0.184, 0.202, 0.168, 0.178, 0.360, 0.348, -0.628, -0.068, -0.064, -0.533, -0.266, -0.819, 0.203, 0.208, 0.214, 0.189, 0.155, 0.178, 0.156, 0.211, 0.177, 0.352, 0.345], "smiles": "COC[C@H](C)N.COC[C@H](C)N.NC(N)=O.NC(N)=O.NC(N)=O", "e_homo_ha": -0.327, "lumo_energy_ev": 0.27, "total_charge": 0, "relative_energy_kj_mol": 99.7, "multiplicity": 1, "orbital_gap_ha": 0.338}
-- stop --
features of the buried object will be determined. As was shown on the previous
page, a majority vote on multiple spectra for each object provides a very
accurate discriminate between plastic AP mines and objects such as scrap metal
and rocks.